centos 6 qmail (just qmail) for local outbound email only

after you’ve already done this: http://rln.d13dns.com/2014/07/19/djbdns-dnscache/

(if you’re not interested in a djbdns dns cache do the first two parts to install daemontools and ucspi)

Install outbound only qmail smtp service to your box with the following:

cd /var/tmp/
yum install gcc gcc-c++ make patch pam-devel openssl*  wget -y 
yum install vim-common vim-enhanced autoconf automake -y
wget http://www.qmail.org/netqmail-1.06.tar.gz
tar zxf netqmail-1.06.tar.gz 
cd netqmail-1.06
mkdir -p /var/qmail/alias
groupadd nofiles
useradd -M -g nofiles -d /var/qmail/alias alias
useradd -M -g nofiles -d /var/qmail qmaild
useradd -M -g nofiles -d /var/qmail qmaill
useradd -M -g nofiles -d /var/qmail qmailp
groupadd qmail
useradd -M -g qmail -d /var/qmail qmailq
useradd -M -g qmail -d /var/qmail qmailr
useradd -M -g qmail -d /var/qmail qmails
make setup check
cat /dev/null > /var/qmail/control/rcpthosts
echo ./Mailbox >/var/qmail/control/defaultdelivery

cat > bin/qmailctl
# cut and paste contents of script from
# http://www.lifewithqmail.org/lwq.html#start-qmail

chmod 755 /var/qmail/bin/qmailctl
mkdir -p /var/qmail/supervise/qmail-smtpd/log
mkdir -p /var/qmail/supervise/qmail-send/log

echo '#!/bin/sh' >/var/qmail/supervise/qmail-send/run
echo 'exec /var/qmail/rc' >>/var/qmail/supervise/qmail-send/run

echo '#!/bin/sh' >/var/qmail/supervise/qmail-send/log/run
echo 'exec /usr/local/bin/setuidgid qmaill /usr/local/bin/multilog t /var/log/qmail' >>/var/qmail/supervise/qmail-send/log/run

cat > /var/qmail/supervise/qmail-smtpd/run
# cut and paste contents of script from
# http://www.lifewithqmail.org/lwq.html#start-qmail

# if you get segfaults when you try to start qmail-smtpd
# you need to increase the soft limit in this file (9000000) 
# did the trick for me

# change the last line of the above script
# change the "0 smtp" to " 25"

echo 5 > /var/qmail/control/concurrencyincoming
chmod 644 /var/qmail/control/concurrencyincoming

echo '#!/bin/sh' > /var/qmail/supervise/qmail-smtpd/log/run
echo 'exec /usr/local/bin/setuidgid qmaill /usr/local/bin/multilog t /var/log/qmail/smtpd' >> /var/qmail/supervise/qmail-smtpd/log/run

    chmod 755 /var/qmail/supervise/qmail-send/run
    chmod 755 /var/qmail/supervise/qmail-send/log/run
    chmod 755 /var/qmail/supervise/qmail-smtpd/run
    chmod 755 /var/qmail/supervise/qmail-smtpd/log/run

mkdir -p /var/log/qmail/smtpd
chown qmaill /var/log/qmail /var/log/qmail/smtpd
ln -s /var/qmail/supervise/qmail-send 
/var/qmail/supervise/qmail-smtpd /service
echo '127.:allow,RELAYCLIENT=""' >>/etc/tcp.smtp
/var/qmail/bin/qmailctl cdb

echo '#!/bin/sh' > /var/qmail/rc
echo >> /var/qmail/rc
echo '# Using stdout for logging' >> /var/qmail/rc
echo '# Using control/defaultdelivery from >> /var/qmail/rc
echo '# qmail-local to deliver messages by default >> /var/qmail/rc
echo >> /var/qmail/rc
echo 'exec env - PATH="/var/qmail/bin:$PATH" ' >> /var/qmail/rc
echo 'qmail-start "`cat /var/qmail/control/defaultdelivery`"' >> /var/qmail/rc
chmod 755 /var/qmail/rc

/var/qmail/bin/qmailctl stop ;
/var/qmail/bin/qmailctl start

woe to the passive mode, woe to the active mode

#This always seems to bite me in the ass.
#dont’ forget to :
# modprobe ip_conntrack_ftp

-A INPUT -p tcp -m tcp –dport 21 -m conntrack –ctstate NEW,ESTABLISHED -j ACCEPT
# -A OUTPUT -p tcp -m tcp –dport 21 -m conntrack –ctstate NEW,ESTABLISHED -j ACCEPT
-A INPUT -p tcp -m tcp –dport 20 -m conntrack –ctstate ESTABLISHED,RELATED -j ACCEPT
#-A OUTPUT -p tcp -m tcp –dport 20 -m conntrack –ctstate ESTABLISHED -j ACCEPT
-A INPUT -p tcp -m tcp –sport 1024: –dport 1024: -m conntrack –ctstate ESTABLISHED -j ACCEPT
#-A OUTPUT -p tcp -m tcp –sport 1024: –dport 1024: -m conntrack –ctstate ESTABLISHED,RELATED -j ACCEPT

xen xcp xapi change from eth0 to eth1 (after you delete eth0 eth1 becomes eth0 orn reboot)

[Here the article breaks off for calculated molecules]
Record 1
Density functional theory data (ωB97M-V/def2-TZVPD) for a structure of composition C51H80B2BrCl2IN11O8P2S2 in a non-equilibrium geometry.

Element x y z (Å)
C: 2.745 0.047 1.419
C: 1.718 -0.631 0.934
C: 0.317 -0.128 1.033
N: -0.350 0.537 -0.163
C: 0.649 1.627 -0.733
C: 1.706 1.464 -1.856
C: 3.132 1.068 -1.479
I: 2.011 3.497 -2.572
C: -0.894 -0.476 -1.217
B: 0.248 -1.399 -1.911
O: 1.597 -1.233 -1.868
O: -0.285 -2.386 -2.660
C: 0.569 -3.478 -3.019
P: -2.005 -2.067 -0.779
O: -2.933 -1.870 0.512
Br: -0.417 -3.397 0.153
C: -1.509 0.385 -2.413
C: -2.190 -0.452 -3.573
Cl: -3.934 -0.133 -3.678
C: -1.468 -0.212 -4.936
C: -0.866 -1.479 -5.524
Cl: -2.535 0.499 -6.184
N: -2.226 1.591 -1.950
P: -2.506 2.784 -3.120
S: -1.450 4.401 -3.195
C: -2.727 1.630 -0.579
C: -3.951 0.692 -0.558
O: -4.841 1.570 -1.238
C: -6.235 1.261 -1.092
C: -6.967 1.548 -2.398
C: -7.475 0.297 -3.124
B: -3.649 2.908 -0.114
O: -4.379 2.684 1.034
O: -3.533 4.155 -0.668
C: -1.583 1.367 0.440
N: -2.142 0.686 1.561
S: -1.059 2.998 1.311
C: -0.746 4.419 0.288
O: -2.147 3.361 2.187
O: 0.149 2.818 2.113
H: 2.660 1.069 1.741
H: 3.719 -0.402 1.511
H: 1.874 -1.652 0.625
H: -0.306 -0.922 1.403
H: 0.329 0.607 1.822
H: 1.193 1.976 0.129
H: -0.010 2.396 -1.099
H: 1.381 0.950 -2.746
H: 3.473 1.741 -0.698
H: 3.761 1.213 -2.347
H: 3.216 0.062 -1.115
H: 2.120 -1.689 -1.207
H: 1.122 -3.875 -2.178
H: -0.072 -4.274 -3.378
H: 1.236 -3.220 -3.832
H: -2.499 -1.876 1.374
H: -0.626 0.790 -2.903
H: -2.191 -1.513 -3.393
H: -0.703 0.545 -4.807
H: 0.112 -1.663 -5.101
H: -0.713 -1.336 -6.585
H: -1.516 -2.333 -5.374
H: -2.339 2.021 -4.267
H: -3.878 2.998 -3.055
H: -3.832 -0.223 -1.123
H: -4.354 0.461 0.416
H: -6.620 1.885 -0.289
H: -6.337 0.215 -0.818
H: -7.810 2.194 -2.186
H: -6.292 2.100 -3.045
H: -8.518 0.110 -2.902
H: -7.345 0.370 -4.197
H: -6.925 -0.583 -2.804
H: -4.343 3.460 1.605
H: -4.381 4.529 -0.931
H: -1.612 0.823 2.421
H: -3.056 1.087 1.756
H: -1.325 5.224 0.717
H: 0.319 4.600 0.321
H: -1.045 4.279 -0.748
N: 3.544 -0.791 -5.026
C: 4.682 -1.123 -4.341
C: 5.753 -0.889 -5.157
C: 5.237 -0.390 -6.388
C: 3.874 -0.341 -6.279
H: 2.617 -0.875 -4.653
H: 4.623 -1.503 -3.335
H: 6.787 -1.056 -4.907
H: 5.806 -0.102 -7.255
H: 3.119 -0.025 -6.979
N: -2.314 0.998 6.253
C: -1.219 0.683 7.002
C: -0.112 1.128 6.337
C: -0.558 1.750 5.138
C: -1.925 1.650 5.114
H: -3.260 0.770 6.499
H: -1.321 0.162 7.938
H: 0.908 1.027 6.669
H: 0.056 2.201 4.379
H: -2.650 1.979 4.388
N: -4.852 -3.035 7.547
C: -3.754 -3.350 8.296
C: -2.647 -2.891 7.635
C: -3.098 -2.272 6.437
C: -4.466 -2.378 6.412
H: -5.799 -3.257 7.792
H: -3.851 -3.872 9.232
H: -1.628 -2.986 7.970
H: -2.487 -1.803 5.684
H: -5.191 -2.044 5.689
N: 2.823 3.253 3.798
C: 3.662 4.254 4.208
C: 4.560 3.724 5.093
C: 4.245 2.347 5.235
C: 3.169 2.086 4.430
H: 2.056 3.369 3.154
H: 3.551 5.258 3.835
H: 5.350 4.260 5.591
H: 4.750 1.632 5.863
H: 2.619 1.177 4.270
N: -2.132 -6.414 0.982
C: -2.158 -7.223 -0.122
C: -3.171 -8.128 0.046
C: -3.780 -7.853 1.301
C: -3.117 -6.791 1.855

#get the uuid of the box you want to add the eth1 to
xe vm-list

#list the interfaces that are associated with that box
xe vif-list | grep

#get list of network-uuids to pick from (in my case there are only 2)
xe vif-list |grep network-uuid| sort -u

# make the eth1 interface
vif-create device=1 vm-uuid= network-uuid=

/*
An isolated ion of composition C7H10F4N3O and charge +1. Source: the OMol25 dataset; level of theory: ωB97M-V/def2-TZVPD.

CARTESIAN COORDINATES (ANGSTROEM)
1 N -0.93 1.43 -1.60
2 C 0.14 0.69 -1.12
3 N 0.97 1.26 -0.26
4 C 0.43 1.79 1.02
5 C -0.35 0.77 1.84
6 C 0.42 -0.41 2.30
7 F -0.30 -1.26 3.07
8 C 1.75 -0.69 2.17
9 F 2.35 -1.00 1.02
10 F 2.63 -0.67 3.14
11 N 0.40 -0.58 -1.54
12 C -0.67 -1.33 -2.20
13 C -1.36 -2.28 -1.26
14 O -1.55 -3.41 -1.49
15 F -1.79 -1.70 -0.12
16 H -1.84 1.39 -1.17
17 H -0.78 2.04 -2.39
18 H 1.79 0.67 -0.12
19 H 1.24 2.27 1.58
20 H -0.25 2.60 0.76
21 H -0.69 1.27 2.75
22 H -1.26 0.49 1.30
23 H 1.29 -0.69 -2.02
24 H -0.24 -1.95 -2.98
25 H -1.41 -0.70 -2.69

Total charge: +1
HOMO level (eV): -11.9982
2S+1: 1
LUMO energy (Ha): -0.1864
Structure (SMILES): N/C(NCCC(F)=C(F)F)=[NH+]\CC(=O)F


One molecule with the formula C7H10FN3. Source: the OMol25 dataset; level of theory: ωB97M-V/def2-TZVPD.

CARTESIAN COORDINATES (ANGSTROEM)
1 C 1.60 -0.12 -1.36
2 C 0.93 -0.20 0.94
3 C -0.32 -1.07 1.32
4 C -0.81 1.09 0.95
5 C -2.77 -0.45 1.52
6 C 1.82 -0.22 -2.80
7 C 1.78 1.15 -2.07
8 N 1.44 -0.75 -0.33
9 N 0.45 1.14 0.81
10 N -1.42 -0.15 1.15
11 F -1.63 2.13 0.88
12 H 1.63 -0.27 1.83
13 H -0.46 -1.83 0.65
14 H -0.22 -1.46 2.41
15 H -2.94 -0.22 2.51
16 H -3.42 0.26 1.00
17 H -2.95 -1.47 1.28
18 H 2.69 -0.73 -3.17
19 H 1.02 -0.34 -3.45
20 H 1.02 1.78 -2.37
21 H 2.56 1.72 -1.69

Relative energy (zero: lowest compared OMol25 entry of this formula, charge and spin) (kcal per mole): 17.0
HOMO level (eV): -8.4442
2S+1: 1
LUMO energy (Ha): 0.0313
Structure (SMILES): CN1C[C@@H](N=C2CC2)N=C1F


An isolated ion of composition C7H10N and charge +1. Source: the OMol25 dataset; level of theory: ωB97M-V/def2-TZVPD.

CARTESIAN COORDINATES (ANGSTROEM)
1 C -2.27 0.35 1.33
2 C 0.12 1.63 -0.93
3 C -2.01 0.26 -0.09
4 C 0.80 0.56 -0.11
5 C -0.73 0.84 -0.07
6 C 1.33 -1.82 0.42
7 C 1.23 -0.77 -0.67
8 N -1.40 1.26 1.21
9 H -3.10 0.17 2.03
10 H 0.35 2.62 -0.75
11 H -0.06 1.56 -1.94
12 H -2.68 0.50 -0.78
13 H 1.25 0.88 0.76
14 H 2.12 -1.43 1.15
15 H 1.75 -2.82 0.04
16 H 0.42 -2.13 0.89
17 H 0.56 -0.94 -1.62
18 H 2.32 -0.73 -0.89

Total charge: +1
Relative energy (zero: lowest compared OMol25 entry of this formula, charge and spin) (kcal per mole): 116.4
HOMO level (eV): -14.8257
2S+1: 1
LUMO energy (Ha): -0.2109
Structure (SMILES): CC[C@H]1C[C@@]12[C@H]1C=[N+]12


An isolated ion of composition C7H10N and charge +1. Source: the OMol25 dataset; level of theory: ωB97M-V/def2-TZVPD.

CARTESIAN COORDINATES (ANGSTROEM)
1 C 1.00 -0.98 -1.95
2 C 1.00 1.27 -0.88
3 C 0.54 -1.35 -0.56
4 C -0.36 0.27 1.15
5 C 1.65 0.03 -1.23
6 C -0.21 0.84 -0.17
7 C -1.52 0.50 2.07
8 N -0.56 -0.55 -0.02
9 H 1.49 -1.81 -2.31
10 H 0.12 -0.75 -2.59
11 H 1.73 1.90 -0.29
12 H 0.82 1.80 -1.73
13 H 0.95 -2.03 0.20
14 H 0.52 0.02 1.64
15 H -1.34 1.04 2.97
16 H -1.85 -0.59 2.41
17 H -2.39 1.11 1.59
18 H -1.59 -0.72 -0.29

Total charge: +1
*/

# plug in the eth1 interface (uuid from prior step)
xe vif-plug uuid=

# unplug the eth0 interface (uuid from step 2)
xe vif-unplug uuid=

== Records of molecules, kept here for reference ==
(1)
119
Properties=species:S:1:pos:R:3 method="wB97M-V/def2-TZVPD" total_charge=+1 relative_energy_ev=2.737 homo_ha=-0.348
C -0.760 -0.363 -2.798
C -1.399 0.862 -2.152
C -0.395 2.012 -2.129
C -2.579 1.275 -3.043
C -1.967 0.604 -0.729
C -2.680 1.655 -0.126
C -3.612 1.362 0.867
C -3.891 0.032 1.183
C -3.063 -1.016 0.748
C -3.458 -2.509 1.009
C -2.440 -3.316 1.811
C -3.691 -3.191 -0.340
C -4.759 -2.580 1.813
C -1.904 -0.616 0.023
N -0.646 -1.274 0.236
C 0.353 -0.867 1.087
C 0.328 0.595 1.623
C 1.784 1.104 1.697
C 2.431 1.397 0.505
C 3.797 1.716 0.511
C 4.485 1.691 1.740
N 5.860 1.382 1.689
O 6.456 1.164 2.767
O 6.433 1.293 0.575
C 3.794 1.644 2.971
C 2.428 1.349 2.938
N 1.457 -1.666 0.816
C 2.824 -1.729 1.291
C 3.088 -1.995 2.667
C 2.108 -2.752 3.612
C 2.710 -2.967 4.998
C 1.776 -4.128 3.017
C 0.847 -1.953 3.812
C 4.366 -1.699 3.168
C 5.440 -1.600 2.298
C 5.219 -1.794 0.945
C 3.932 -1.755 0.383
C 3.982 -1.818 -1.188
C 5.257 -1.126 -1.726
C 2.831 -1.131 -1.887
C 4.070 -3.282 -1.637
C 0.993 -2.753 0.054
C -0.258 -2.468 -0.367
H -1.442 -1.222 -2.791
H -0.525 -0.122 -3.845
H 0.184 -0.639 -2.319
H -0.836 2.929 -1.722
H 0.481 1.755 -1.527
H -0.045 2.221 -3.149
H -3.057 2.190 -2.682
H -2.235 1.450 -4.067
H -3.330 0.478 -3.063
H -2.558 2.686 -0.467
H -4.147 2.169 1.365
H -4.744 -0.161 1.837
H -2.281 -2.886 2.804
H -2.836 -4.331 1.963
H -1.479 -3.422 1.306
H -4.526 -2.705 -0.860
H -2.811 -3.130 -0.985
H -3.937 -4.250 -0.190
H -5.576 -2.074 1.286
H -5.047 -3.629 1.960
H -4.624 -2.132 2.806
H -0.354 0.964 0.862
H 1.858 1.300 -0.419
H 4.305 1.896 -0.432
H 4.379 1.763 3.879
H 1.951 1.241 3.922
H 2.908 -2.011 5.495
H 1.997 -3.517 5.622
H 3.633 -3.554 4.955
H 1.284 -4.053 2.042
H 2.696 -4.713 2.893
H 1.105 -4.669 3.697
H 0.339 -1.866 2.843
H 0.165 -2.453 4.511
H 1.059 -0.947 4.187
H 4.551 -1.605 4.233
H 6.450 -1.469 2.669
H 6.087 -1.935 0.311
H 6.146 -1.760 -1.622
H 5.148 -0.932 -2.802
H 5.450 -0.168 -1.228
H 1.893 -1.660 -1.737
H 2.748 -0.093 -1.554
H 3.024 -1.128 -2.970
H 3.181 -3.855 -1.360
H 4.169 -3.326 -2.730
H 4.944 -3.775 -1.195
H 1.623 -3.584 -0.174
H -0.885 -2.996 -1.048
C -2.487 3.901 5.379
N -1.839 3.036 4.393
C -0.809 3.540 3.630
C -0.463 4.907 3.800
C 0.353 5.525 2.821
C 0.653 4.815 1.660
C 0.270 3.469 1.535
C -0.216 2.714 2.638
C -0.372 1.158 2.690
C -1.622 0.824 3.410
C -2.356 1.783 4.152
C -3.555 1.394 4.769
C -3.840 0.056 4.924
C -3.016 -0.910 4.360
C -1.937 -0.519 3.580
H -3.083 3.321 6.075
H -1.724 4.403 5.972
H -3.115 4.638 4.873
H -0.807 5.452 4.670
H 0.669 6.551 3.002
H 1.245 5.315 0.881
H 0.400 3.035 0.529
H 0.266 0.475 3.222
H -4.187 2.133 5.228
H -4.680 -0.224 5.563
H -3.168 -1.959 4.576
H -1.332 -1.244 3.056

(2)
26
Properties=species:S:1:pos:R:3 method="wB97M-V/def2-TZVPD" total_charge=0 relative_energy_ev=1.703 smiles=Cc1ccc(-n2cccc2)cc1C homo_ha=-0.296
C 2.338 -2.531 1.273
C 1.366 -1.603 0.578
C 0.721 -1.864 -0.673
C -0.199 -1.012 -1.171
C -0.534 0.181 -0.595
N -1.432 1.131 -1.130
C -1.625 2.407 -0.768
C -2.710 2.938 -1.450

#delete the eth0 interface (after a reboot your new eth1 will be eth0)
xe vif-destroy uuid=